_What to do_
Restate the whole of the contents underneath with every line break kept.

_Data_
1.
This entry pairs a crystal structure of LaNd8Co2 with its theoretical PXRD pattern. Radiation: Cu Kα X-rays. Structure: a PBE-relaxed structure.
Intensities are scaled so that the largest is 100.

Cell and atoms:
a b c (Å): 7.639 7.639 7.129
angles (deg): 106.54 106.54 66.00
Sites, in units of the cell vectors:
La 0.000 0.000 0.000
Nd 0.129 0.129 0.693
Nd 0.184 0.579 0.691
Nd 0.338 0.338 0.186
Nd 0.421 0.816 0.309
Nd 0.579 0.184 0.691
Nd 0.662 0.662 0.814
Nd 0.816 0.421 0.309
Nd 0.871 0.871 0.307
Co 0.203 0.203 0.399
Co 0.797 0.797 0.601

Principal peaks in the range 15° ≤ 2θ ≤ 90°, by angle:
| two_theta | d/Å | Rel. int. |
| --- | --- | --- |
| 26.6 | 3.353 | 21 |
| 26.9 | 3.320 | 45 |
| 27.3 | 3.271 | 21 |
| 29.6 | 3.013 | 25 |
| 31.5 | 2.838 | 100 |
| 32.5 | 2.753 | 34 |
| 33.1 | 2.703 | 18 |
| 39.2 | 2.299 | 22 |
| 47.9 | 1.899 | 18 |
| 55.3 | 1.661 | 16 |



2.
This entry pairs a crystal structure of LaY3Te6 with its theoretical PXRD pattern. Radiation: Cu Kα X-rays. Structure: a PBE-relaxed structure.
Intensities are scaled so that the largest is 100.

Cell and atoms:
a b c (Å): 12.556 4.427 12.898
angles (deg): 90.00 109.34 90.00
Sites, in units of the cell vectors:
La 0.048 0.250 0.197
La 0.952 0.750 0.803
Y 0.155 0.250 0.583
Y 0.318 0.750 0.999
Y 0.438 0.250 0.335
Y 0.562 0.750 0.665
Y 0.682 0.250 0.001
Y 0.845 0.750 0.417
Te 0.086 0.750 0.405
Te 0.118 0.250 0.967
Te 0.196 0.750 0.750
Te 0.261 0.750 0.225
Te 0.391 0.250 0.558

_Worked solution_
1.
This entry pairs a crystal structure of LaNd8Co2 with its theoretical PXRD pattern. Radiation: Cu Kα X-rays. Structure: a PBE-relaxed structure.
Intensities are scaled so that the largest is 100.

Cell and atoms:
a b c (Å): 7.639 7.639 7.129
angles (deg): 106.54 106.54 66.00
Sites, in units of the cell vectors:
La 0.000 0.000 0.000
Nd 0.129 0.129 0.693
Nd 0.184 0.579 0.691
Nd 0.338 0.338 0.186
Nd 0.421 0.816 0.309
Nd 0.579 0.184 0.691
Nd 0.662 0.662 0.814
Nd 0.816 0.421 0.309
Nd 0.871 0.871 0.307
Co 0.203 0.203 0.399
Co 0.797 0.797 0.601

Principal peaks in the range 15° ≤ 2θ ≤ 90°, by angle:
| two_theta | d/Å | Rel. int. |
| --- | --- | --- |
| 26.6 | 3.353 | 21 |
| 26.9 | 3.320 | 45 |
| 27.3 | 3.271 | 21 |
| 29.6 | 3.013 | 25 |
| 31.5 | 2.838 | 100 |
| 32.5 | 2.753 | 34 |
| 33.1 | 2.703 | 18 |
| 39.2 | 2.299 | 22 |
| 47.9 | 1.899 | 18 |
| 55.3 | 1.661 | 16 |



2.
This entry pairs a crystal structure of LaY3Te6 with its theoretical PXRD pattern. Radiation: Cu Kα X-rays. Structure: a PBE-relaxed structure.
Intensities are scaled so that the largest is 100.

Cell and atoms:
a b c (Å): 12.556 4.427 12.898
angles (deg): 90.00 109.34 90.00
Sites, in units of the cell vectors:
La 0.048 0.250 0.197
La 0.952 0.750 0.803
Y 0.155 0.250 0.583
Y 0.318 0.750 0.999
Y 0.438 0.250 0.335
Y 0.562 0.750 0.665
Y 0.682 0.250 0.001
Y 0.845 0.750 0.417
Te 0.086 0.750 0.405
Te 0.118 0.250 0.967
Te 0.196 0.750 0.750
Te 0.261 0.750 0.225
Te 0.391 0.250 0.558